**Data**
____________
Here is a geometry-optimized Li2NpUN4 structure from the Alexandria database. Energies are from GGA-PBE.

Cell lengths 4.3390, 4.3390, 11.1474 Å; angles 90.00, 90.00, 90.00 degrees
Space group I-4m2 (No. 119)
One atom of each set of equivalent atoms:
Li: 0.0000 0.0000 0.0000
Li: 0.0000 0.5000 0.2500
Np: 0.0000 0.0000 0.5000
U: 0.0000 0.5000 0.7500
N: 0.0000 0.0000 0.2866
N: 0.0000 0.5000 0.5456

Properties
ΔE_f (raw): -1.127 eV/atom
V: 13.1 A^3/atom
total DFT energy (no corrections): -8.80 eV per atom
theoretical density: 8.6 g/cm3

=====

8
Lattice="-2.420 2.699 -2.180 -2.885 -0.088 3.093 1.267 7.925 4.300" Properties=species:S:1:pos:R:3 comment="PBE HfNi2Bi, optimized geometry" ef_ev_per_atom=0.240 sg="No. 122" pbc="T T T"
Bi -1.902 5.965 1.288
Hf -2.652 1.305 0.456
Hf -2.135 4.571 3.924
Ni -1.855 2.337 2.676
Bi 0.000 0.000 0.000
Ni -3.612 8.231 3.939
Ni -1.118 6.921 3.652
Ni -1.490 3.583 0.158

4
Lattice="0.000 3.558 3.558 3.558 0.000 3.558 3.558 3.558 0.000" Properties=species:S:1:pos:R:3 comment="PBE HfNiBi2, optimized geometry" ef_ev_per_atom=0.300 sg="No. 225" pbc="T T T"
Bi 1.779 1.779 1.779
Bi 5.337 5.337 5.337
Hf 3.558 3.558 3.558
Ni 0.000 0.000 0.000

Number 1: V 19.2 Å³/atom. Number 2: V 22.5 Å³/atom.
____________

**Request**
It remains to find the line above that holds "0.5456", then return that line and all lines after it there.

**Solution**
N: 0.0000 0.5000 0.5456

Properties
ΔE_f (raw): -1.127 eV/atom
V: 13.1 A^3/atom
total DFT energy (no corrections): -8.80 eV per atom
theoretical density: 8.6 g/cm3

=====

8
Lattice="-2.420 2.699 -2.180 -2.885 -0.088 3.093 1.267 7.925 4.300" Properties=species:S:1:pos:R:3 comment="PBE HfNi2Bi, optimized geometry" ef_ev_per_atom=0.240 sg="No. 122" pbc="T T T"
Bi -1.902 5.965 1.288
Hf -2.652 1.305 0.456
Hf -2.135 4.571 3.924
Ni -1.855 2.337 2.676
Bi 0.000 0.000 0.000
Ni -3.612 8.231 3.939
Ni -1.118 6.921 3.652
Ni -1.490 3.583 0.158

4
Lattice="0.000 3.558 3.558 3.558 0.000 3.558 3.558 3.558 0.000" Properties=species:S:1:pos:R:3 comment="PBE HfNiBi2, optimized geometry" ef_ev_per_atom=0.300 sg="No. 225" pbc="T T T"
Bi 1.779 1.779 1.779
Bi 5.337 5.337 5.337
Hf 3.558 3.558 3.558
Ni 0.000 0.000 0.000

Number 1: V 19.2 Å³/atom. Number 2: V 22.5 Å³/atom.